Sporty’s Eastern Cincinnati Aviation Expands Aircraft Sales

Eastern Cincinnati Aviation, the FBO affiliate of Sporty’s Pilot Shop, is now an authorized sales center for American Legend Cubs. Moreover, Eastern Cincinnati Aviation is also a sales and service center for Robinson Helicopters.

Sporty’s Courses Ease the Transition

Sporty’s has updated and expanded its online video training catalog to include four new aircraft transition courses including So You Want to Fly Twins; So You Want to Fly Helicopters; So You Want to Fly Gliders; and So You Want to Fly Seaplanes.

Sporty’s Welcomes You on May 16, 2015

Sporty’s Annual Fly In will be held on Saturday, May 16, 2015, where the welcome mat will be prominent for both local and transient pilots. Exhibits, seminars and display aircraft are all part of this annual event.

Be Your Own Best Flight Instructor with Sporty’s IPC and Flight Review Apps

With the one-two punch of Sporty’s apps, you will have no worries when it comes to your next flight review. Using a visual menu system, the Instrument Proficiency Check app is divided into six subject areas and 27 individual video segments. Based on Sporty’s award-winning Instrument Rating Course, the IPC app contains more than 160 minutes of engaging 3D animations and in-flight video.

Inside or Outside Your Airplane: Lights, Camera, Action!

Sporty’s offers solutions for three shortcomings encountered when shooting video with a GoPro from an airplane: propeller distortion, the inability to connect to an aviation headset, and mounting systems that don’t work in flight. With two new GoPro Kits, pilots can create high quality video both inside the airplane and outside the airplane.

sun n' fun

What comes next are materials data, not part of the text:
<<<
Diffraction record for W3O8. The powder diffraction line list is computed, not measured: it uses the GGA+U geometry in the Materials Project and CuKα.

Most intense lines, 2θ from 10° to 90°, in order of rising 2θ:
3.858 Å, 2θ 23.05, intensity 100
3.250 Å, 2θ 27.44, intensity 62
3.124 Å, 2θ 28.58, intensity 99
2.486 Å, 2θ 36.13, intensity 41
2.428 Å, 2θ 37.03, intensity 67
1.851 Å, 2θ 49.22, intensity 29
1.669 Å, 2θ 55.02, intensity 31
1.641 Å, 2θ 56.03, intensity 30

Structural model:
abc: 6.253 6.253 3.858
angles: 90.00 90.00 117.36
Atoms (fractional coordinates):
W (0.000, 0.000, 0.000)
W (0.316, 0.684, 0.000)
W (0.684, 0.316, 0.000)
O (0.000, 0.000, 0.500)
O (0.034, 0.337, 0.000)
O (0.311, 0.689, 0.500)
O (0.337, 0.034, 0.000)
O (0.500, 0.500, 0.000)
O (0.663, 0.966, 0.000)
O (0.689, 0.311, 0.500)
O (0.966, 0.663, 0.000)

* * * * *

1.
# Li2CrNi
Calculated X-ray diffraction stick pattern, Cu Kα X-rays. Input: a GGA-PBE-relaxed structure.
Intensities are scaled so that the largest is 100.

Main lines, by angle (2θ from 10° to 80°):
d_spacing  Rel. int.
4.443  7
2.962  10
2.257  38
2.222  27
2.066  100
1.999  23
1.950  19
1.833  43
1.777  12
1.486  14
1.328  8
1.250  11

Structure:
Lattice parameters (Å, degrees): 2.8736 3.9976 8.8861 90.00 90.00 90.00
Space group Cmm2 (No. 35)
One atom of each set of equivalent atoms:
Li (0.0000, 0.0000, 0.0000) (multiplicity 2)
Li (0.0000, 0.5000, 0.2922) (multiplicity 2)
Cr (0.0000, 0.0000, 0.5489) (multiplicity 2)
Ni (0.0000, 0.5000, 0.7664) (multiplicity 2)

2.
# La2Ti3CuO10
Calculated X-ray diffraction stick pattern, Cu Kα X-rays. Input: a GGA-PBE-relaxed structure.
Intensities are scaled so that the largest is 100.

Main lines, by angle (2θ from 10° to 80°):
d_spacing  Rel. int.
3.810  25
3.120  100
2.722  34
2.706  64
2.667  23
2.219  26
2.107  25
1.925  50
1.720  25
1.638  29
1.568  25
1.454  24

Structure:
Lattice parameters (Å, degrees): 3.8496 3.8496 26.6307 90.00 90.00 90.00
Space group I-4m2 (No. 119)
One atom of each set of equivalent atoms:
La (0.0000, 0.0000, 0.0819) (multiplicity 4)
Ti (0.0000, 0.0000, 0.3399) (multiplicity 4)
Ti (0.0000, 0.0000, 0.5000) (multiplicity 2)
Cu (0.0000, 0.5000, 0.2500) (multiplicity 2)
O (0.0000, 0.0000, 0.2719) (multiplicity 4)
O (0.0000, 0.0000, 0.4267) (multiplicity 4)
O (0.0000, 0.5000, 0.0009) (multiplicity 4)
O (0.0000, 0.5000, 0.1451) (multiplicity 4)
O (0.0000, 0.5000, 0.6424) (multiplicity 4)

3.
# TiZn2B
Calculated X-ray diffraction stick pattern, Cu Kα X-rays. Input: a GGA-PBE-relaxed structure.
Intensities are scaled so that the largest is 100.

Main lines, by angle (2θ from 10° to 80°):
d_spacing  Rel. int.
4.681  32
3.357  4
2.994  6
2.522  4
2.338  100
1.909  37
1.706  4
1.603  34
1.522  2
1.479  15
1.379  4
1.206  6

Structure:
Lattice parameters (Å, degrees): 3.4125 3.4125 18.7236 90.00 90.00 90.00
Space group I-42d (No. 122)
One atom of each set of equivalent atoms:
Ti (0.0000, 0.0000, 0.0000) (multiplicity 4)
>>>
The materials data stop here:

Sporty’s Big Tent Will be Big Fun at Sun ‘n Fun

Sporty’s expanded presence at Sun ‘n Fun continues in 2015, with its exhibit space located in outdoor space N100 in the area north of the main exhibit hangars. Sporty’s tent provides a shopping atmosphere with hundreds of products that can be touched and tried.

Sporty’s Offers Additional ATP-CTP Training from ABX Air

Since the launch in October, 2014 of one of the first FAA-approved Airline Transport Pilot Certified Training Programs (ATP-CTP), classes have been filling up quickly. Given the increased demand, additional capacity for this specialized training has been added for 2015.

The Sporty’s Foundation Issues 2014 Annual Report

Philanthropy continued with The Sporty’s Foundation during 2014 with its commitment to attract new market entrants with both pilots and technicians. The Foundation has issued its most recent Annual Report, detailing activities and bequests during 2014. The Annual Report is available online at

Sporty’s Releases New Version of Learn to Fly Course

Sporty’s continues to deliver unprecedented value and outstanding learning experiences with new content and functionality for its popular Learn to Fly Course. Nearly four hours of new high-definition video content and animations have been added along with improved features for the popular written test prep application.